_Source_
Entry 1:
Below is 12 unconnected molecules or ions with the total composition C24H72O12S12 at a distorted geometry, with properties calculated with ωB97M-V/def2-TZVPD.

```
120
Properties=species:S:1:pos:R:3:lowdin_charge:R:1
C -3.68 -4.22 -3.19 -0.22
S -3.81 -2.44 -3.59 0.82
O -2.81 -1.69 -2.74 -0.58
C -3.23 -2.48 -5.23 -0.28
H -4.35 -4.48 -2.38 0.04
H -2.62 -4.34 -2.85 0.05
H -3.90 -4.79 -4.09 0.05
H -3.86 -3.06 -5.93 0.08
H -2.24 -2.87 -5.23 0.05
H -3.06 -1.42 -5.48 0.05
C -3.99 1.66 -3.70 -0.20
S -3.30 1.32 -2.04 0.79
O -3.29 2.70 -1.42 -0.59
C -4.74 0.47 -1.32 -0.23
H -4.49 0.74 -3.96 0.03
H -3.17 1.93 -4.28 0.02
H -4.68 2.50 -3.51 0.07
H -5.32 1.36 -1.00 0.07
H -4.25 -0.15 -0.56 0.02
H -5.30 -0.06 -2.10 0.04
C -3.65 -2.85 5.01 -0.26
S -1.92 -2.67 4.93 0.79
O -1.40 -3.51 6.06 -0.56
C -1.41 -3.67 3.50 -0.25
H -4.15 -2.26 4.26 0.05
H -3.77 -2.52 5.98 0.01
H -3.89 -3.96 5.10 0.10
H -2.06 -3.68 2.65 0.04
H -1.41 -4.67 4.03 0.08
H -0.38 -3.47 3.19 0.01
C 3.92 -1.88 4.69 -0.22
S 2.24 -2.67 4.65 0.82
O 2.18 -3.64 3.45 -0.59
C 2.31 -3.61 6.15 -0.26
H 4.05 -1.24 3.85 0.02
H 4.53 -2.79 4.76 0.06
H 4.04 -1.24 5.56 0.05
H 1.32 -3.89 6.42 0.02
H 2.76 -2.93 6.91 0.07
H 2.96 -4.42 5.97 0.04
C 3.45 5.08 -2.56 -0.28
S 3.78 5.07 -4.31 0.81
O 4.03 3.65 -4.73 -0.56
C 2.20 5.66 -5.06 -0.23
H 2.48 4.61 -2.33 0.02
H 3.35 6.14 -2.21 0.07
H 4.24 4.51 -2.05 0.05
H 2.49 5.91 -6.06 0.04
H 1.93 6.55 -4.52 0.03
H 1.40 4.92 -5.09 0.04
C 4.46 -1.94 0.51 -0.22
S 2.78 -1.30 0.19 0.79
O 2.39 -0.57 1.43 -0.56
C 3.27 0.00 -0.92 -0.25
H 4.69 -2.64 -0.33 0.06
H 4.63 -2.55 1.34 0.02
H 5.12 -1.07 0.52 0.05
H 2.33 0.55 -0.92 0.01
H 3.65 -0.38 -1.85 0.06
H 4.01 0.69 -0.34 0.06
C -0.21 3.45 -0.10 -0.21
S -0.05 2.61 -1.70 0.80
O 1.45 2.58 -1.95 -0.55
C -0.77 3.92 -2.57 -0.28
H 0.41 4.28 -0.32 0.03
H 0.28 2.81 0.61 0.04
H -1.27 3.66 0.15 0.07
H -0.53 4.86 -2.00 0.08
H -1.81 3.93 -2.43 0.01
H -0.33 4.04 -3.56 0.06
C 4.93 3.67 2.63 -0.29
S 4.87 3.42 0.93 0.78
O 5.36 2.03 0.74 -0.53
C 3.16 3.36 0.78 -0.30
H 4.57 4.66 2.92 0.07
H 6.02 3.63 2.84 0.07
H 4.41 2.82 3.04 0.06
H 2.83 2.58 1.52 0.10
H 2.97 3.28 -0.22 -0.02
H 2.73 4.32 1.07 0.08
C -4.71 4.18 2.63 -0.26
S -3.53 2.85 2.56 0.78
O -2.19 3.49 2.83 -0.57
C -3.97 1.97 4.08 -0.24
H -4.42 4.88 1.87 0.04
H -4.58 4.58 3.61 0.05
H -5.69 3.80 2.25 0.07
H -3.43 1.01 3.99 0.03
H -5.01 1.79 3.89 0.04
H -3.78 2.54 4.99 0.07
C -1.36 -1.24 0.23 -0.28
S -2.00 -0.01 1.27 0.75
O -3.31 -0.48 1.77 -0.54
C -0.76 -0.28 2.48 -0.25
H -1.85 -1.38 -0.73 0.03
H -1.30 -2.21 0.75 0.05
H -0.33 -0.97 0.01 0.05
H 0.20 0.18 2.17 0.06
H -0.68 -1.34 2.67 0.02
H -1.20 0.34 3.27 0.05
C 0.24 -0.53 -2.94 -0.30
S 0.30 0.27 -4.49 0.81
O -0.18 -0.83 -5.41 -0.56
C 2.04 0.32 -4.75 -0.27
H -0.77 -0.84 -2.89 0.00
H 0.46 0.18 -2.18 -0.02
H 0.94 -1.40 -2.88 0.08
H 2.59 1.08 -4.28 0.02
H 2.12 0.42 -5.88 0.07
H 2.47 -0.71 -4.63 0.08
C 1.04 -4.07 -0.42 -0.30
S -0.29 -5.29 -0.28 0.79
O -0.74 -5.75 -1.62 -0.56
C 0.78 -6.57 0.36 -0.27
H 1.94 -4.51 -0.87 0.06
H 1.32 -3.73 0.57 0.03
H 0.66 -3.30 -1.12 0.03
H 0.27 -7.36 0.87 0.03
H 1.42 -6.07 1.12 0.06
H 1.41 -6.93 -0.49 0.08
```

Values from the calculation:
LUMO = 0.385 eV
Highest occupied orbital energy = -8.51 eV
Charge = 0
2S+1 = 1
Frontier orbital gap = 8.899 eV
Max |F| = 3.6 eV/A
Energy relative to the best compared isomer or geometry (same formula, charge and spin) = 27.88 kcal per mole


Entry 2:
Below is a molecular structure, C5H7NO, with properties calculated with ωB97M-V/def2-TZVPD.

```
14
Properties=species:S:1:pos:R:3:lowdin_charge:R:1
O -0.82 -1.72 -1.00 -0.01
C -0.30 -1.18 0.18 -0.39
C 1.19 -0.73 0.11 0.05
C 1.04 0.72 -0.17 -0.29
C -0.39 1.11 -0.56 -0.07
C -0.76 0.21 0.61 -0.20
N 0.59 0.57 1.24 0.08
H -0.23 -1.47 -1.72 0.09
H -0.47 -1.92 0.98 0.14
H 1.14 -0.25 1.66 0.11
H 1.92 1.34 -0.38 0.13
H -0.75 0.81 -1.55 0.11
H -0.60 2.16 -0.37 0.11
H -1.67 0.37 1.20 0.14
```

Values from the calculation:
LUMO = 0.734 eV
Highest occupied orbital energy = -8.49 eV
Charge = 0
2S+1 = 1

_Wanted_
Next, start at the top of the notes further up and give back each line, ending with the one that has "3.27 0.00".

_Reply_
Entry 1:
Below is 12 unconnected molecules or ions with the total composition C24H72O12S12 at a distorted geometry, with properties calculated with ωB97M-V/def2-TZVPD.

```
120
Properties=species:S:1:pos:R:3:lowdin_charge:R:1
C -3.68 -4.22 -3.19 -0.22
S -3.81 -2.44 -3.59 0.82
O -2.81 -1.69 -2.74 -0.58
C -3.23 -2.48 -5.23 -0.28
H -4.35 -4.48 -2.38 0.04
H -2.62 -4.34 -2.85 0.05
H -3.90 -4.79 -4.09 0.05
H -3.86 -3.06 -5.93 0.08
H -2.24 -2.87 -5.23 0.05
H -3.06 -1.42 -5.48 0.05
C -3.99 1.66 -3.70 -0.20
S -3.30 1.32 -2.04 0.79
O -3.29 2.70 -1.42 -0.59
C -4.74 0.47 -1.32 -0.23
H -4.49 0.74 -3.96 0.03
H -3.17 1.93 -4.28 0.02
H -4.68 2.50 -3.51 0.07
H -5.32 1.36 -1.00 0.07
H -4.25 -0.15 -0.56 0.02
H -5.30 -0.06 -2.10 0.04
C -3.65 -2.85 5.01 -0.26
S -1.92 -2.67 4.93 0.79
O -1.40 -3.51 6.06 -0.56
C -1.41 -3.67 3.50 -0.25
H -4.15 -2.26 4.26 0.05
H -3.77 -2.52 5.98 0.01
H -3.89 -3.96 5.10 0.10
H -2.06 -3.68 2.65 0.04
H -1.41 -4.67 4.03 0.08
H -0.38 -3.47 3.19 0.01
C 3.92 -1.88 4.69 -0.22
S 2.24 -2.67 4.65 0.82
O 2.18 -3.64 3.45 -0.59
C 2.31 -3.61 6.15 -0.26
H 4.05 -1.24 3.85 0.02
H 4.53 -2.79 4.76 0.06
H 4.04 -1.24 5.56 0.05
H 1.32 -3.89 6.42 0.02
H 2.76 -2.93 6.91 0.07
H 2.96 -4.42 5.97 0.04
C 3.45 5.08 -2.56 -0.28
S 3.78 5.07 -4.31 0.81
O 4.03 3.65 -4.73 -0.56
C 2.20 5.66 -5.06 -0.23
H 2.48 4.61 -2.33 0.02
H 3.35 6.14 -2.21 0.07
H 4.24 4.51 -2.05 0.05
H 2.49 5.91 -6.06 0.04
H 1.93 6.55 -4.52 0.03
H 1.40 4.92 -5.09 0.04
C 4.46 -1.94 0.51 -0.22
S 2.78 -1.30 0.19 0.79
O 2.39 -0.57 1.43 -0.56
C 3.27 0.00 -0.92 -0.25